Student Grievance Procedure

**Someone pasted quantum chemistry results at this point**
'''
(1)
'''

A student who believes that he or she has not received equitable treatment by a member of the faculty may register a formal grievance. Grievances concerning course grades are appropriate only when the grade constitutes one of a number of factors that, together, may represent a pattern of inequitable treatment of the student. In all cases, course instructors have the final responsibility for assigning course grades.

The grievance will typically be submitted in writing to the appropriate department chair'. If the department chair is the source of the grievance, the student will submit the grievance in writing to the vice dean. In either case, the written grievance must include the relevant facts surrounding the grievance and any supporting materials.

If the department chair is not the subject of the grievance, he or she will take all steps necessary to investigate the details of the grievance. If the department chair is the subject of the grievance, the vice dean will take all steps necessary to investigate the details of the grievance. Such steps may include but are not limited to, interviewing the student and faculty member, reviewing supporting documentation, and soliciting external, blinded review of materials by individuals with appropriate expertise. Within 30 days of receipt of the written grievance, and after consideration of all available and relevant facts surrounding the grievance, the department chair or vice dean will propose a resolution to the grievance. The student may either accept the proffered resolution or appeal the decision.

Appealing a Proposed Grievance Resolution

If the initial review was conducted by the department chair, the appeal will be made to an ad-hoc committee consisting of the vice dean as chair and two members of the faculty of the school. If the initial review was conducted by the vice dean, the appeal will be made to an ad-hoc committee consisting of three members drawn from the senior faculty and administration, appointed by the dean.

The appeals committee will review all documents related to the grievance and interview the involved parties, including the student and appropriate faculty members. The purpose of the appeal process will be to ensure that the grievance process was conducted fairly and that all relevant information was taken into consideration. The appeals committee will render one of two decisions: (1) the appeals committee may decide by majority vote to uphold the proposed resolution; (2) the committee may find that the process through which the proposed resolution was developed was unfair or otherwise flawed; in the latter case, the committee may, by majority vote, recommend an alternative resolution to the dean. If the appeals committee finds that the process was unfair or flawed, the committee will produce a written report that characterizes the basis for that finding. In either case, the committee will reach a decision by majority vote within 45 days after the appeal is requested. The appeals committee decision will form the basis for a recommendation to the dean. The dean, having taken all information into account, will make a final decision regarding resolution of the grievance.

Students in Speech-Language Pathology

Students in the Speech-Language Pathology Program may register a signed, written complaint to the Chair, Council on Academic Accreditation (CM) of the American-Speech-Language-Hearing Association, 10801 Rockville Pike, Rockville, MD 20852. The complaint must clearly describe the specific nature of the complaint and the relationship of the complaint to the accreditation standards, and include supporting data for the complaint. The CAA requires that the complainant exhaust all institutional grievance and review mechanisms before submitting a complaint to the CAA.